In order to facilitate and accelerate learning, we need to design opportunities for making mistakes. While organizations have many fail-safe systems to ensure smooth operations, most companies have few “safe-failing” spaces to enhance learning.
Learning infrastructures create a process through which the assumptions of an organization are continually surfaced, challenged, and (if necessary) changed. Such structures are places in which corporate sacred cows are subject to scrutiny rather than accepted as truth, and where multiple future scenarios are developed and explored rather than focusing on a single” plan.
Parallel Learning Process

The O-A-D-I (Observe-Assess-Design-Implement) learning cycle links the practice and performance fields together in a continuous process of theory building and experimentation.
For most organizations, such learning infrastructures do not exist. Yet they may be the single most important factor for creating sustained competitive advantage because they can provide an organization with the ability to continuously learn about itself. Learning infrastructures provide the means for an organization to develop its own theory (or set of principles) of how it works in a way that is comprehensible and actionable to its members.
An Infrastructure for Working “on” the System
Building infrastructures for learning requires a parallel process that takes us out of the day-to-day pressures into a different kind of space in which we can practice and learn. With learning infrastructures, we are able to step out of the system so that we can work “on” it and not just “in” it. There is an ongoing learning cycle that creates a bridge between the performance field (working in the system) and practice fields (working on the system) (see “Parallel Learning Process” for example of this learning cycle applied to product development process). The learning cycle of Observe-Assess-Design-Implement (O-A-D-I) links the two processes together: “Assess” and “Design” are more emphasized in the practice field and “Implement” and “Observe” are more emphasized in the performance field.
Perhaps the most important link in the learning cycle lies in the “Observe-Assess” step, because our designs can only be as good as the assessments on which they are based. In turn, if our assessments are not grounded in actual observations, but in previously-held assessments, then we are on shaky ground. The 0-A-D-I learning cycle thus helps us continually reflect on what we think we know and how we know it — in essence, to challenge our prevailing mental models.
This parallel process can be likened to a manager’s equivalent of a practice field, which enhances his or her ability to perform online by creating an environment that is safe for experimentation and failures. Like a sports team, the practice field provides the tools and the appropriate arena for trying out new “plays” or strategies that may be a radical departure from standard procedure.
A management flight simulator, for example, can be most useful for understanding situations in which causality is distant in time and space, or when the inherent time lag is particularly long (on the order of months or years) and organizational complexity is high (see “Management Flight Simulators: Flight Training for Managers,” Parts I and II, Nov. 1992 and Dec. 1992/Jan. 1993). Management flight simulators are one of many tools that can be used in a practice field. Causal loop diagrams, systems archetypes, action maps, dialogue, and the Ladder of Inference are among the many other tools and frameworks that can also be utilized to enhance learning.
Creating learning infrastructures such as practice fields or learning laboratories is an important part of becoming a learning organization, but alone it is inadequate. It is too easy for such structures to become “training” infrastructures. There is nothing wrong with training per se. But training involves teaching a new twist on a well-established body of knowledge or disseminating that body of knowledge itself. Learning, on the other hand, requires a shift in the understanding of the base of knowledge itself. It is the difference between acquiring new information that fits into a current theory and developing a new theory. Learning infrastructures should help organizations build their own ongoing theories about how they work as a system.
Theory-Building Process
Because individuals are continually learning in organizations, one can argue that organizations are very supportive of learning. In most cases, however, the learning is done at an individual, not organizational, level. Oftentimes, there is no coherent process for integrating the learnings of many individuals into a form that can benefit the whole organization. In short, there is no theory-building process.
The word theory is too often viewed as an esoteric word that has no practical meaning. In fact, theory is of utmost practical importance because theories are distillations of our knowledge and understanding of the world. Theories represent the general principles drawn from a body of facts and observations. Without them, we could not learn because we would have no means to provide a coherent structure to our observations.
Given today’s pace of change and organizational complexity, managers need to be competent in applying the research skills of a scientist to better develop theories about how their organizations work as a system. The old paradigm of feeding experiments from organizations into research institutions that then feed the results back is no longer adequate.
In Beyond the Stable State, Donald Schon points out that a major disruption in this paradigm occurred when the pace of change crossed into the intra-generational state — when lessons learned became obsolete within the same generation. Given this pact of change, the research cycle must be compressed, otherwise solutions (in the form of research results) will be stillborn — the problems that they addressed will no longer be relevant.
Managers’ New Roles: Researcher and Theory-Builder
In order to keep pace with intra-generational change, managers need to become theory-builders within their own organizations. It is no longer sufficient to apply generic theories and frame-works like Band-Aids to one’s own specific issues. As theory-builders, managers must have an intimate knowledge of how their organization works as a whole — but they also require some guiding theory and methodology to make sense of their experience and learning.
**The entry is interrupted by calculated molecules:**
/*
[1]
{
  "formula": "C3H10N2",
  "method": "ωB97M-V/def2-TZVPD",
  "e_above_lowest_kj_mol": 80.69,
  "homo_ev": -9.25,
  "homo_lumo_gap_ha": 0.3819,
  "elements": ["H", "H", "H", "H", "H", "H", "H", "C", "C", "H", "H", "N", "C", "H", "N"],
  "positions_angstrom": [[1.1790, 0.2050, -1.8971], [-0.3223, 0.9527, -1.5147], [-0.7595, -1.7684, -1.4628], [1.5128, 0.0012, 0.3500], [-0.9416, -1.0044, -2.7862], [-0.7759, 1.4916, 0.5357], [-0.5453, 1.3075, 2.9043], [-0.4143, 0.5695, 0.9973], [0.2126, 0.0163, -1.3938], [0.9912, 1.1275, 2.3968], [-1.3718, 0.0264, 1.1857], [-0.2087, -1.2109, -2.1112], [0.4580, -0.2242, 0.0990], [0.5161, -1.3043, 0.2899], [0.0669, 0.7017, 2.3772]],
  "forces_ev_per_angstrom": [[-0.172, 0.371, 0.517], [-0.840, -0.195, -0.287], [0.247, -0.208, 0.236], [-0.270, 0.486, -0.261], [0.369, 0.292, -0.381], [0.602, 0.349, -0.124], [-0.079, 0.005, 0.059], [-2.602, -0.732, 1.592], [2.044, -0.424, -0.614], [-0.114, 0.002, 0.010], [0.339, 0.111, -0.616], [-1.624, 0.140, 0.505], [1.992, -0.499, -0.431], [-0.768, 0.108, 0.165], [0.876, 0.192, -0.369]]
}

=====

[2]
{
  "formula": "C4H6S",
  "method": "ωB97M-V/def2-TZVPD",
  "e_above_lowest_kj_mol": 768.53,
  "homo_ev": [-8.67, -8.57],
  "homo_lumo_gap_ha": [0.2875, 0.2894],
  "elements": ["C", "C", "C", "H", "C", "H", "H", "H", "H", "S", "H"],
  "positions_angstrom": [[0.6782, 0.4771, -0.7294], [-0.0442, 0.8996, 1.6086], [0.6349, -2.0749, -2.0587], [-0.9899, 0.9200, 2.2160], [-0.4465, 0.7704, 0.1265], [0.4233, 1.8366, 1.7826], [0.0478, -2.9238, -2.4485], [0.3842, -2.0624, -0.9287], [0.4706, -0.1042, 1.7703], [0.1574, 2.0239, -1.1656], [-1.3158, 0.2376, -0.1732]],
  "forces_ev_per_angstrom": [[0.950, -0.011, -0.510], [-2.587, -2.010, -0.580], [-0.406, -0.424, 1.559], [0.877, -0.151, -0.389], [1.289, 0.997, -0.021], [1.163, 0.290, 0.258], [-0.097, 0.021, -0.239], [0.515, 0.041, -1.480], [-0.041, 1.761, 0.471], [-0.665, -0.417, 0.819], [-0.997, -0.098, 0.112]]
}

=====

Values for strongest force on any atom, eV/A, ordered as above
3.137, 3.327
*/
**Back to the entry:**
There is no “golden formula” that will hold for all time. Companies that lived by the learning curve theory almost died by it (as in the case of Texas Instruments and the personal computer debacle). Others who followed the BCG business portfolio theory also had their share of problems. Theory building should therefore not be done as an academic exercise but as a process grounded in reality that continually helps provide a framework for interpreting one’s competitive environment.
Theory-Building loops
There are several projects being conducted at the MIT Organizational Learning Center which attempt to design and embed a theory-building process within an organization. By conducting parallel “experiments” at multiple company sites, we hope to accumulate learnings across organizations that will allow each individual organization to accelerate its own learning. We are trying to integrate a variety of research methods that build theory at various levels (see “Organizational Theory-Building Cycle”). Although a lot of the Learning Center work lies in the (virtual) world of ideas, model formulation, and design of flight simulators and learning labs, an important aspect of the Learning Center’s theory-building process is its close integration with active experimentation in several company sites.
The Learning Center research efforts can be viewed in terms of four interrelated learning loops which guide all projects — grounded theory building, dynamic theory building, behavioral decision theory building, and managerial practice field theory building:
Grounded Theory Building (Loop L1): This loop represents the field research tradition of building theory based on observable data. It is rooted in direct observations, but instead of bringing pre-formulated frameworks that are then applied to the data, we try to hear what the facts themselves have to say.
Grounded theory building is an inductive process of suspending prior assumptions in order to view observable data through fresh eyes. Action science, clinical research, and ethnography are probably the most relevant research approaches. Mapping tools such as systems archetypes, causal loop diagrams, and action maps can play an important role in building grounded theory.
Dynamic Theory Building (Loop L2): Static models can provide illuminating frameworks to better understand our observations (e.g., supply and demand curves of economics), but they don’t provide an opportunity to explore the rich set of dynamics that are possible over time. In dynamic theory building, we are interested in understanding how our grounded theories play out over time. This loop includes the traditional system dynamics model-building process of data collection, model formulation, testing, revising, and validation. It includes some of the work represented by loop L1, but builds on it in a more rigorous fashion.
Behavioral Decision Theory Building (Loop L3): People do not always behave rationally or in their best interests, especially in complex dynamic environments where causality is separated in space and time. This theory loop attempts to understand why people make the decisions they do in order to improve their decision making in the future. MIT Professor John Sterman’s work on dynamic decision making is a good representation of behavioral decision theory studies. Using interactive computer simulators to study how managers make decisions in a laboratory setting is one part of the work; linking the impact of those studies to actions in the workplace is another.
Managerial Practice Field Theory Building (Loop L4): Creating meaningful practice fields for managers requires an understanding of what makes a practice field “real” enough to be taken seriously and yet “playful” enough to provide a learning environment.
Experiments can be conducted in the practice field that would not be possible in the actual work environment, and successive rounds of experiments can help an organization begin to develop its own organizational theory.
All four learning loops are important to organizational theory building. In the short term, no single project is likely to adequately address all four loops at once. But over time, the collection of various projects across many companies will help us build a rich set of theories about how organizations learn at multiple levels. The hope is that as more organizations engage in theory building, it will become such an embedded part of doing business that the alternation between practice and performance will be a seamless process of integrated learning.
Organizational Theory-Building Cycle
_The text is interrupted by records of molecules_
'''
1.
The following is a DFT calculation (ωB97M-V with the def2-TZVPD basis set) of a structure of composition C19H20F2N4O3 at a distorted geometry.

Each line ends with the Mulliken charge.
Element x y z (Å)
1 C 8.1924 0.7500 -0.2621  -1.11
2 C 6.8604 0.9138 0.0015  0.90
3 N 6.0668 -0.0198 0.1755  -0.98
4 N 4.7629 0.3620 0.4837  0.79
5 C 4.7343 1.5723 0.3407  0.97
6 C 5.9416 2.0380 0.2296  -1.41
7 H 6.2882 2.9947 0.2519  0.51
8 C 3.4847 2.5842 0.6821  -1.28
9 H 3.6493 3.6307 0.4735  0.38
10 H 2.6761 2.1848 0.2284  0.28
11 H 3.2031 2.6926 1.8846  0.22
12 C 3.4791 -0.3771 0.5860  -2.11
13 H 2.8865 -0.1768 1.2437  1.06
14 H 3.9600 -1.3163 1.1735  0.20
15 C 2.8929 -0.7861 -0.7990  1.02
16 N 1.4669 -1.2339 -0.3485  -0.10
17 C 0.5620 -0.4867 -0.2829  0.33
18 O 0.6183 0.8297 -0.3144  -0.78
19 C -0.6842 -0.8697 -0.1712  0.73
20 N -0.9406 -2.2254 0.1765  -0.43
21 O -2.2663 -2.5390 0.1581  -0.21
22 C -3.0311 -1.2882 0.3578  0.33
23 C -2.0617 -0.2313 0.0347  -0.75
24 H -2.3362 0.7453 0.0564  0.58
25 C -4.3915 -1.2728 0.1583  -0.76
26 O -4.8505 -0.2063 -0.0682  -0.22
27 C -6.2666 -0.2250 0.0307  0.50
28 C -6.7030 1.3484 -0.4777  -0.88
29 C -8.1652 1.4445 -0.2889  0.38
30 C -8.9561 0.5222 0.1925  0.21
31 C -8.5230 -0.5418 0.5442  -0.11
32 C -7.2149 -0.9836 0.4263  -0.33
33 H -6.8291 -1.8747 0.9493  0.33
34 H -9.2665 -1.4848 0.9740  0.21
35 F -10.3362 0.7794 0.1709  -0.28
36 F -8.4728 2.8659 -0.8273  -0.33
37 H -6.0152 1.9070 -1.0225  0.44
38 H -4.7941 -2.2804 0.1080  0.61
39 H -4.6251 -1.5471 1.4864  0.28
40 H 1.2249 -2.0553 -0.2563  -0.03
41 C 3.7701 -1.8844 -1.2942  -1.79
42 H 4.5932 -1.4302 -1.2631  0.71
43 H 3.5396 -2.8163 -0.9267  0.40
44 H 3.2504 -2.0506 -2.4369  0.26
45 H 2.7478 0.2336 -1.3023  0.42
46 H 8.9319 1.1540 0.3925  0.29
47 H 8.4593 -0.4184 -0.3593  0.29
48 H 8.4873 1.0687 -1.2697  0.25

Max |F|   0.30865 hartree/bohr
Orbital gap   8.1063 eV
E   -1379.74737 Eh
Energy relative to the best compared isomer or geometry (same formula, charge and spin)   449.5 kcal/mol

2.
The following is a DFT calculation (ωB97M-V with the def2-TZVPD basis set) of a structure of composition C19H20F3FeIN6O2 at a distorted geometry.

Each line ends with the Mulliken charge.
Element x y z (Å)
1 Fe -0.8538 -2.3921 0.1564  -0.27
2 O -5.7541 2.5793 -2.8125  -0.47
3 C -5.0472 3.0168 -1.7531  0.58
4 O -5.2281 4.1167 -1.3215  -0.52
5 C -4.0391 2.0804 -1.1407  0.97
6 C -3.6613 0.8650 -1.6859  -1.32
7 C -2.7207 0.0661 -1.0473  -0.51
8 C -2.1743 0.4773 0.1522  1.39
9 C -2.5252 1.7121 0.6963  -0.74
10 C -3.4487 2.5056 0.0506  -1.25
11 N -1.2291 -0.4206 0.7759  0.61
12 C -0.7839 -0.1795 1.9382  -0.22
13 C 0.1001 -1.1771 2.5298  0.29
14 C 0.8457 -0.9339 3.6652  -0.87
15 C 1.6847 -1.9353 4.1340  -0.45
16 C 1.7221 -3.1396 3.4558  -0.88
17 C 0.9266 -3.3143 2.3330  -0.08
18 N 0.1335 -2.3467 1.8630  0.43
19 H -5.5383 1.6662 -3.0314  0.28
20 H -4.0624 0.5082 -2.6265  0.20
21 H -2.4146 -0.8652 -1.5049  0.31
22 H -2.0888 2.0815 1.6126  0.30
23 H -3.7318 3.4689 0.4506  0.46
'''

The four theory-budding loops integrate a variety of research methods to build theory at various levels.